I am trying to create plots in python using bokeh that allow dynamic visualization of data in bins. It's worth knowing that I am relatively new to python, very new to bokeh, and I know ZERO javascript. I have consulted this:
Link a Span or Cursor in between plots with Bokeh in Python
and this:
but am having trouble implementing the necessary parts of each. Here is my code prior to adding the requested capabilities:
from bokeh.layouts import column, widgetbox
from bokeh.models.widgets import Slider
from bokeh.models import Span, CustomJS
# widgets for bin setup
Pix1_LowLow = Slider(start = self.StartDAC, end = self.EndDAC, value = 129, step = 1, title = 'Pixel-1 - Low Bin - Low Thresh')
Pix1_LowHigh = Slider(start = self.StartDAC, end = self.EndDAC, value = 204, step = 1, title = 'Pixel-1 - Low Bin - High Thresh')
Pix1_HighLow = Slider(start = self.StartDAC, end = self.EndDAC, value = 218, step = 1, title = 'Pixel-1 - High Bin - Low Thresh')
Pix1_HighHigh = Slider(start = self.StartDAC, end = self.EndDAC, value = 500, step = 1, title = 'Pixel-1 - High Bin - High Thresh')
plot1spect = figure(width=700, height=250, title='pixel-1 Spectrum')
plot1spect.line(self.SpectDACvals1[0], self.SpectrumData1[0], line_width=2)
plot1spect_LowLowSpan = Span(location=Pix1_LowLow.value, dimension = 'height')
plot1spect_LowHighSpan = Span(location=Pix1_LowHigh.value, dimension = 'height')
plot1spect_HighLowSpan = Span(location=Pix1_HighLow.value, dimension = 'height')
plot1spect_HighHighSpan = Span(location=Pix1_HighHigh.value, dimension = 'height')
plot1spect.renderers.extend([plot1spect_LowLowSpan, plot1spect_LowHighSpan, plot1spect_HighLowSpan, plot1spect_HighHighSpan])
+++
Computed, not measured: a relaxed CsTiF4 crystal at the meta-GGA r2SCAN level of DFT.

Lattice parameters (Å, degrees): 7.975 7.975 6.453 90.00 90.00 90.00
Sites, in units of the cell vectors:
Cs  0.000  0.000  0.500
Cs  0.500  0.500  0.500
Cs  0.000  0.500  0.436
Cs  0.500  0.000  0.564
Ti  0.750  0.250  0.000
Ti  0.750  0.750  0.000
Ti  0.250  0.250  0.000
Ti  0.250  0.750  0.000
F  0.744  0.500  0.063
F  0.000  0.756  0.063
F  0.000  0.244  0.063
F  0.256  0.500  0.063
F  0.756  0.000  0.937
F  0.244  0.000  0.937
F  0.500  0.744  0.937
F  0.500  0.256  0.937
F  0.712  0.212  0.285
F  0.712  0.788  0.285
F  0.288  0.212  0.285
F  0.288  0.788  0.285
F  0.788  0.712  0.715
F  0.212  0.288  0.715
F  0.212  0.712  0.715
F  0.788  0.288  0.715

Properties
V, Å³ per atom: 17.10
DFT formation energy, meV per atom: -3482
VASP energy, eV per atom: -11.91
Size of the total moment, μB/atom: 0.1667

Computed, not measured: a relaxed Sm10Se19 crystal at the meta-GGA r2SCAN level of DFT.

Lattice parameters (Å, degrees): 9.220 9.220 16.811 90.00 90.00 90.00
Sites, in units of the cell vectors:
Sm  0.553  0.852  0.394
Sm  0.148  0.053  0.894
Sm  0.352  0.447  0.894
Sm  0.947  0.648  0.394
Sm  0.447  0.148  0.606
Sm  0.852  0.947  0.106
Sm  0.648  0.553  0.106
Sm  0.053  0.352  0.606
Sm  0.544  0.848  0.880
Sm  0.152  0.044  0.380
Sm  0.348  0.456  0.380
Sm  0.956  0.652  0.880
Sm  0.456  0.152  0.120
Sm  0.848  0.956  0.620
Sm  0.652  0.544  0.620
Sm  0.044  0.348  0.120
Sm  0.250  0.750  0.116
Sm  0.250  0.750  0.616
Sm  0.750  0.250  0.884
Sm  0.750  0.250  0.384
Se  0.750  0.750  0.750
Se  0.250  0.250  0.250
Se  0.174  0.528  0.750
Se  0.472  0.674  0.250
Se  0.028  0.826  0.250
Se  0.326  0.972  0.750
Se  0.826  0.472  0.250
Se  0.528  0.326  0.750
Se  0.972  0.174  0.750
Se  0.674  0.028  0.250
Se  0.652  0.549  0.929
Se  0.451  0.152  0.429
Se  0.049  0.348  0.429
Se  0.848  0.951  0.929
Se  0.348  0.451  0.071
Se  0.549  0.848  0.571
Se  0.951  0.652  0.571
Se  0.152  0.049  0.071
Se  0.650  0.552  0.437
Se  0.448  0.150  0.937
Se  0.119  0.567  0.251
Se  0.433  0.619  0.751
Se  0.067  0.881  0.751
Se  0.381  0.933  0.251
Se  0.881  0.433  0.749
Se  0.567  0.381  0.249
Se  0.933  0.119  0.249
Se  0.619  0.067  0.749
Se  0.750  0.250  0.064
Se  0.750  0.250  0.564
Se  0.250  0.750  0.936
Se  0.250  0.750  0.436
Se  0.150  0.052  0.563
Se  0.948  0.650  0.063
Se  0.552  0.850  0.063
Se  0.350  0.448  0.563
Se  0.850  0.948  0.437
Se  0.052  0.350  0.937

Properties
V, Å³ per atom: 24.64
DFT formation energy, meV per atom: -1935
VASP energy, eV per atom: -21.56
Size of the total moment, μB/atom: 0.0000
+++
plot1spill = figure(width=700, height=250, title='pixel-1 Spillover')
plot1spill.line(self.SpillDACvals1[0], self.SpillData1[0], line_width=2)
plot1spill_LowLowSpan = Span(location=Pix1_LowLow.value, dimension = 'height')
plot1spill_LowHighSpan = Span(location=Pix1_LowHigh.value, dimension = 'height')
plot1spill_HighLowSpan = Span(location=Pix1_HighLow.value, dimension = 'height')
plot1spill_HighHighSpan = Span(location=Pix1_HighHigh.value, dimension = 'height')
plot1spill.renderers.extend([plot1spill_LowLowSpan, plot1spill_LowHighSpan, plot1spill_HighLowSpan, plot1spill_HighHighSpan])
show(row(plot1spect,plot1spill, widgetbox(Pix1_LowLow, Pix1_LowHigh, Pix1_HighLow, Pix1_HighHigh)))
This code gives me this:
If someone can show me how get Pix1_LowLow
slider to dynamically control the location of plot1spect_LowLowSpan
, then I can extend the technique to the other sliders and spans. Many thanks in advance!
python 3.5.2 - bokeh 12.0
Here is a minimal complete example. Note that the recommended way to add annotations like Span
is with plot.add_layout
as shown below:
from bokeh.layouts import row, widgetbox
from bokeh.models import Slider, Span, CustomJS
from bokeh.plotting import figure, output_file, show
slider = Slider(start=0, end=10, value=3, step=0.1, title='Slider')
plot = figure(width=700, height=250, x_range=(0,10), y_range=(-1, 1))
span = Span(location=slider.value, dimension='height')
callback = CustomJS(args=dict(span=span), code="""
span.location = cb_obj.value
slider.js_on_change('value', callback)
show(row(plot, widgetbox(slider)))